When & Why did Knights stop using Shields? (A complete guide)

When we look at medieval art but also movies that are set in the Middle Ages then one thing is quite interesting. While knights during the crusades are usually depicted fighting with a shield, other (later) depictions show knights fighting with two-handed weapons and without a shield.

But why did knights stop using shields? And when did that change occur? That will be answered in the following!

After 1350, new armor designs and technologies like hardened carbon steel allowed knights to fight with two-handed weapons instead of a one-handed weapon and a shield. A two-handed weapon had advantages against the lightly armored spearmen who made up the bulk of medieval armies and also against Plate armor. But even though knights used fewer and fewer shields after 1350 they did still use them during sieges or while jousting. And both foot soldiers and crossbowmen heavily relied on shields throughout the Middle Ages.

Let`s find out more!

When did knights stop using shields?

During the Early and High Middle Ages, the shield was an essential part of every knight’s equipment but also of the regular footsoldiers equipment. The reason for that can be found in the relatively low price compared to other types of medieval body armor (more on the price of medieval armor here) but also in the effectiveness of shields as protection.

When it comes to the effectiveness of medieval shields then it is important to remember that shields were not just a few boards of wood that were nailed together! A medieval shield was a highly sophisticated piece of armor! For more information on how medieval shields were built to provide such good protection you can check out my article here.

And even though shields remained common on Late Medieval battlefields for both regular footsoldiers as well as crossbowmen or men using early firearms, knights would start to use shields less and less after 1350.

Giving up the shield and a one-handed weapon for a two-handed weapon had several advantages that will be explored under the next headline. But it is still important to note that even though knights would use fewer and fewer shields after 1350, shields never went completely out of use!

Not only did the footsoldiers and men who used ranged weapons like crossbows or early firearms who made up the majority of a medieval army still use shields (in parts really large shields behind which a crossbowman could reload without making himself a clear target).

Even after 1350 knights in full plate armor would still use shields on occasions like sieges or while jousting.

The reason for that can be found in the risk-reward ratio that giving up a shield for a two-handed weapon had. A two-handed weapon gave you greater offensive power. But when you were besieging a fortification, more on how medieval sieges worked here, you could not use your hand-held weapons to harm the defenders on top of the wall.

So in the case of a siege, it made sense to keep a shield as protection against the projectiles that the defenders, who had the perfect cover on top of their wall, were shooting at you even when you were wearing a full suit of plate armor.

You can find out more about the effectiveness of the different medieval types of armor (Gambesons, Chain mail, Plate armor) in my article here.

So now we found out that the trend of giving up shields in favor of two-handed weapons (at least among knights) started in the middle of the 14th century, somewhere around the year 1350.

But that obviously bears the question of why knights would give up shields to fight with two-handed weapons. And while I have already hinted at one of the reasons I would now like to talk about the 3 reasons in more detail.

Why did knights stop using shields?

As mentioned, also knights would use shields less and less after 1350 shields never went completely out of use but were still frequently used during sieges or while jousting. And the regular footsoldiers would still heavily rely on shields throughout the Late Middle Ages.

So let`s now look at the 3 reasons why knights would gradually give up shields in favor of two-handed weapons like longswords.

New armor technology made shields less necessary

In the late 14th century knights who could afford it (here you can find out more about the price of medieval armor) were covered from head to foot in Plate armor. And the parts of the body at which plate armor could not be used (like the armpits) were either protected by pieces of chainmail or the knight wore a complete shirt of chainmail under his Plate armor.

But while Plate armor during the 14th century was only rarely made from hardened carbon steel the use of hardened carbon steel spread throughout the 15th century. As a result, the much more effective Plate armor made from hardened carbon steel became much more common during the 15th century.

Do you wonder how steel was made during the Middle Ages? You can find out more about that here.

The spread of full plate armor that was made out of hardened carbon steel and because of that offered much better protection during the 15th century was one of the reasons why knights would gradually give up shields.

Another, closely related reason can be found in new armor designs that compensated for the lack of a shield.

New armor designs made shields less necessary

Now Plate armor did not just come up overnight, it was a process until knights would wear full plate armor that covered them from head to foot.

____________
DFT (GGA-PBE) results for Li5GeP3 after structural relaxation.

## Properties
E_form = -0.532 eV per atom
E = -3.9107 eV per atom

The structure in POSCAR format:
```
Li5GeP3
1.0
2.963 6.515 0.000
-2.963 6.515 0.000
0.000 2.756 8.091
Li Ge P
10 2 6
direct
0.420 0.900 0.425
0.420 0.922 0.905
0.747 0.246 0.747
0.756 0.241 0.260
0.922 0.420 0.405
0.090 0.571 0.072
0.900 0.420 0.925
0.241 0.756 0.760
0.571 0.090 0.572
0.246 0.747 0.247
0.042 0.621 0.622
0.621 0.042 0.122
0.970 0.011 0.007
0.694 0.650 0.657
0.011 0.970 0.507
0.346 0.317 0.310
0.650 0.694 0.157
0.317 0.346 0.810
```


Record 1
CsMnCrC6N6 PBE optimized geometry; total magnetic moment = 2.0 μB/f.u.; energy of formation from the pure elements = -0.061 eV/atom; SG = No. 216; raw total energy = -123.8 eV per cell
1.0
0.0000 5.4186 5.4186
5.4186 0.0000 5.4186
5.4186 5.4186 0.0000
N C Cs Mn Cr
6 6 1 1 1
direct
0.2032 0.2032 0.7968
0.7968 0.7968 0.2032
0.7968 0.2032 0.7968
0.2032 0.7968 0.2032
0.2032 0.7968 0.7968
0.7968 0.2032 0.2032
0.6885 0.3115 0.3115
0.3115 0.6885 0.3115
0.6885 0.6885 0.3115
0.3115 0.6885 0.6885
0.3115 0.3115 0.6885
0.6885 0.3115 0.6885
0.2500 0.2500 0.2500
0.0000 0.0000 0.0000
0.5000 0.5000 0.5000



Record 2
KAuF3 PBE optimized geometry; total magnetic moment = 0.2 μB/f.u.; energy of formation from the pure elements = -1.889 eV/atom; SG = No. 221; raw total energy = -18.2 eV per cell
1.0
4.4844 0.0000 0.0000
0.0000 4.4844 0.0000
0.0000 0.0000 4.4844
K Au F
1 1 3
direct
0.5000 0.5000 0.5000
0.0000 0.0000 0.0000
0.5000 0.0000 0.0000
0.0000 0.0000 0.5000
0.0000 0.5000 0.0000



Record 3
AcCe3 PBE optimized geometry; total magnetic moment = 0.0 μB/f.u.; energy of formation from the pure elements = 0.143 eV/atom; SG = No. 139; raw total energy = -21.3 eV per cell
1.0
4.3786 3.2061 -2.8600
-0.6362 5.9679 1.2687
0.2350 -4.9593 3.6029
Ac Ce
1 3
direct
0.0000 0.0000 0.0000
0.2500 0.7500 0.5000
0.7500 0.2500 0.5000
0.5000 0.5000 0.0000



Record 4
HfO2 PBE optimized geometry; energy of formation from the pure elements = -3.991 eV/atom; SG = No. 29; largest piezoelectric modulus = 2.612 C/m2; raw total energy = -121.8 eV per cell
1.0
-0.3844 -4.0283 -3.0046
4.8648 -1.1323 0.8957
-1.4442 -2.9405 4.1271
O Hf
8 4
direct
0.5402 0.4936 0.2333
0.5402 0.9936 0.2667
0.4598 0.9936 0.7667
0.9279 0.8768 0.6321
0.0721 0.8768 0.1321
0.4598 0.4936 0.7333
0.9279 0.3768 0.8679
0.0721 0.3768 0.3679
0.2674 0.2426 0.0338
0.7326 0.7426 0.9662
0.7326 0.2426 0.5338
0.2674 0.7426 0.4662



Record 5
RbSm2CuSe4 PBE optimized geometry; total magnetic moment = 0.0 μB/f.u.; energy of formation from the pure elements = -1.737 eV/atom; SG = No. 63; raw total energy = -81.0 eV per cell
1.0
-4.1685 6.2776 0.7659
0.2410 -7.5706 0.0045
2.7805 0.0970 14.3379
Se Sm Cu Rb
8 4 2 2
direct
0.7377 0.2623 0.3880
0.4294 0.5706 0.2500
0.0000 0.0000 0.0000
0.7377 0.2623 0.1120
0.5706 0.4294 0.7500
0.2623 0.7377 0.6120
0.2623 0.7377 0.8880
0.0000 0.0000 0.5000
0.6344 0.3656 0.9368
0.3656 0.6344 0.4368
0.6344 0.3656 0.5632
____________
End of the materials data =

Until the mid-to-late 13th-century knights were using suits of chainmail as protection. Only in the late 13th century did armorsmiths start adding metal plates to the chainmail to reinforce crucial and especially vulnerable parts of the body like the elbows. It would take until the 15th century that knights wore suits of plate armor that covered the entire body.

But in the middle of the 15th century these suits of plate armor were so complete, and thanks to the spread of hardened carbon steel so robust, that almost all potential weak spots were closed and a full suit of Plate armor offered excellent protection (at least when you could afford it).

For more information on the effectiveness of Plate armor and its strengths and weaknesses compared to chainmail I would like to recommend you my article here.

But simultaneously to making suits of plate armor more and more complete, the armorsmiths also included new designs like reinforcing the plate armor of the left arm so that the knight did no longer need a shield. But when a knight was fighting with a two-handed weapon than his left arm, the arm that would usually wear the shield, was still the closest to the enemy and as such especially vulnerable.

Ok, so now we have found out that new armor technologies and new armor designs made it possible for knights to fight without a shield and use two-handed weapons. But why did they want to use two-handed weapons? What are the advantages of a two-handed weapon over fighting with a shield and a one-handed weapon?

Two-handed weapons and their advantages against lighter armored opponents

When we talk about why handling two-handed weapons had advantages over fighting with a shield and a one-handed weapon then we have to look at the enemies that a fully armored knight would face during a battle.

A plane-wave DFT calculation with PBE was carried out for an optimized crystal structure of Y2Zr2O7.

a b c (Å): 7.5012 7.5012 7.5012
angles (deg): 60.00 60.00 60.00
Sites, in units of the cell vectors:
Y 0.0000 0.0000 0.0000
Y 0.0000 0.0000 0.5000
Y 0.0000 0.5000 0.0000
Y 0.5000 0.0000 0.0000
Zr 0.0000 0.5000 0.5000
Zr 0.5000 0.0000 0.5000
Zr 0.5000 0.5000 0.0000
Zr 0.5000 0.5000 0.5000
O 0.1250 0.1250 0.1250
O 0.1594 0.1594 0.5906
O 0.1594 0.5906 0.1594
O 0.1594 0.5906 0.5906
O 0.4094 0.4094 0.8406
O 0.4094 0.8406 0.4094
O 0.4094 0.8406 0.8406
O 0.5906 0.1594 0.1594
O 0.5906 0.1594 0.5906
O 0.5906 0.5906 0.1594
O 0.8406 0.4094 0.4094
O 0.8406 0.4094 0.8406
O 0.8406 0.8406 0.4094
O 0.8750 0.8750 0.8750

## Properties
Crystal system   cubic
Space group   Fd-3m
Energy of formation   -3.850 eV per atom
Density   5255 kg/m³

Contrary to popular belief the completely armored knights only made up a small minority of most medieval armies. The bulk of medieval armies was made up of lighter armored foot soldiers.

You can find out more about the composition of medieval armies in my article here. And in case you wonder how large medieval armies could be you might want to check out my article here.

In that case, a two-handed weapon had several advantages. Not only could a knight with a two-handed weapon do more damage than a man with a one-handed weapon, but additionally he also had a longer reach.

And that longer reach was especially useful since most of his lighter armored opponents would not be fighting with a sword (swords were generally not used as much as one might think, more on that here).

Instead, most footsoldiers in a medieval battle would be armed with spears or poleaxes. So in that case the knight needed a weapon that could be used to deflect blows but that also had enough reach to attack the spearman. Or in other words, when a knight was not dependent on his shield for protection then a Longsword had advantages over a one-handed arming sword like it was used during the Early and High Middle Ages.

_Someone pasted crystal structures at this point_
____________
Entry 1:
# Na10CaSn12 | the Materials Project | PBE | relaxed
data_Na10CaSn12
_cell_length_a 9.791
_cell_length_b 9.791
_cell_length_c 9.791
_cell_angle_alpha 109.47
_cell_angle_beta 109.47
_cell_angle_gamma 109.47
_symmetry_space_group_name_H-M 'P 1'
_symmetry_Int_Tables_number 1
_symmetry_space_group_name_Hall 'P 1'
loop_
_atom_site_label
_atom_site_type_symbol
_atom_site_fract_x
_atom_site_fract_y
_atom_site_fract_z
Na1 Na 0.500 0.750 0.250
Sn1 Sn 0.188 0.371 0.000
Na2 Na 0.000 0.613 0.000
Na3 Na 0.250 0.500 0.750
Sn2 Sn 0.817 0.629 0.629
Ca1 Ca 0.000 0.000 0.000
Na4 Na 0.000 0.000 0.613
Sn3 Sn 0.188 0.000 0.371
Na5 Na 0.750 0.250 0.500
Sn4 Sn 0.812 0.183 0.812
Sn5 Sn 0.371 0.000 0.188
Na6 Na 0.387 0.387 0.387
Na7 Na 0.613 0.000 0.000
Na8 Na 0.500 0.250 0.750
Sn6 Sn 0.629 0.629 0.817
Sn7 Sn 0.183 0.812 0.812
Sn8 Sn 0.371 0.188 0.000
Na9 Na 0.750 0.500 0.250
Na10 Na 0.250 0.750 0.500
Sn9 Sn 0.000 0.371 0.188
Sn10 Sn 0.629 0.817 0.629
Sn11 Sn 0.000 0.188 0.371
Sn12 Sn 0.812 0.812 0.183
# Symmetry: I-43m
# ρ in g cm⁻³: 3.894
# Largest piezoelectric modulus in C/m2: 0.155
# DFT formation energy in eV per atom: -0.263
# Uncorrected energy in eV per cell: -69.40



Entry 2:
# NaCa2Tl | the Materials Project | PBE | relaxed
data_NaCa2Tl
_cell_length_a 5.617
_cell_length_b 5.617
_cell_length_c 5.617
_cell_angle_alpha 60.00
_cell_angle_beta 60.00
_cell_angle_gamma 60.00
_symmetry_space_group_name_H-M 'P 1'
_symmetry_Int_Tables_number 1
_symmetry_space_group_name_Hall 'P 1'
loop_
_atom_site_label
_atom_site_type_symbol
_atom_site_fract_x
_atom_site_fract_y
_atom_site_fract_z
Na1 Na 0.500 0.500 0.500
Tl1 Tl 0.000 0.000 0.000
Ca1 Ca 0.250 0.250 0.250
Ca2 Ca 0.750 0.750 0.750
# Symmetry: Fm-3m
# ρ in g cm⁻³: 4.076
# DFT formation energy in eV per atom: -0.224
# Uncorrected energy in eV per cell: -8.59



Entry 3:
# Ca2NdNbO6 | the Materials Project | PBE | relaxed
data_Ca2NdNbO6
_cell_length_a 5.663
_cell_length_b 5.950
_cell_length_c 8.223
_cell_angle_alpha 90.00
_cell_angle_beta 90.17
_cell_angle_gamma 90.00
_symmetry_space_group_name_H-M 'P 1'
_symmetry_Int_Tables_number 1
_symmetry_space_group_name_Hall 'P 1'
loop_
_atom_site_label
_atom_site_type_symbol
_atom_site_fract_x
_atom_site_fract_y
_atom_site_fract_z
Nb1 Nb 0.500 0.501 0.502
Nb2 Nb 0.000 0.999 0.002
Nd1 Nd 0.484 0.058 0.756
O1 O 0.877 0.943 0.770
O2 O 0.709 0.179 0.053
Ca1 Ca 0.514 0.944 0.245
O3 O 0.209 0.321 0.553
O4 O 0.294 0.825 0.945
O5 O 0.831 0.712 0.073
Ca2 Ca 0.999 0.997 0.500
O6 O 0.173 0.282 0.928
Nd2 Nd 0.984 0.442 0.256
O7 O 0.673 0.218 0.428
O8 O 0.794 0.675 0.445
Ca3 Ca 0.499 0.503 0.000
O9 O 0.377 0.557 0.270
O10 O 0.618 0.443 0.730
O11 O 0.118 0.057 0.230
O12 O 0.331 0.788 0.573
Ca4 Ca 0.014 0.556 0.745
# Symmetry: Pc
# ρ in g cm⁻³: 4.954
# DFT formation energy in eV per atom: -3.444
# Uncorrected energy in eV per cell: -157.78



Entry 4:
# Ca3NbO6 | the Materials Project | PBE | relaxed
data_Ca3NbO6
_cell_length_a 5.942
_cell_length_b 5.687
_cell_length_c 9.893
____________

So there we have it, the reasons why knights would use fewer and fewer shields and when that trend started. I hope you found our trip into the Middle Ages just as interesting as I did.

For more information about medieval warfare I would like to recommend you my article here where I go into detail about how medieval battles worked. And here you can find out more about what happened after a medieval battle.

Take care of yourself because you deserve it. You really do.

Until next time

Yours truly

Luke Reitzer


Thomas Laible: Das Schwert. Mythos und Wirklichkeit (Bad Aibling 2008).

Malte Prietzel: Krieg im Mittelalter (Darmstadt 2006).